Commercialising university research often starts with existing relationships
The AstraZeneca vaccine for CoVID-19 is a prime example to illustrate the process it takes, and the value that lies in commercialising university research. This was highlighted by a technology transfer expert at Universities South Africa’s two-day workshop held for universities’ senior executives last week, in Cape Town.

Addressing the Executive Leadership Workshop (ELW) workshop virtually from the United Kingdom last Wednesday, Mr Tom Hockaday (above), said, “The Oxford AstraZeneca COVID vaccine happened partly because there were senior people in the university who knew senior people in AstraZeneca. They could literally pick up the phone and say, ‘Hi, mate, let’s talk about this’ because they knew each other, because they had a relationship, and the transaction and the deal followed from that.”
• Inserted here: calculated crystals:
____________
Record 1
A plane-wave DFT calculation with GGA-PBE was carried out for a geometry-optimized LaAgSnSe3 structure.

Properties
As for the magnetization: 0.018 Bohr magnetons per cell. The value obtained for the uncorrected energy is -0.172 Ha/atom. For the excess energy over the best structure of this formula in the dataset, the calculation gives 0.0 kJ/mol of atoms.

```
LaAgSnSe3
1.0
4.4141 0.0000 0.0000
0.0000 11.8237 0.0000
0.0000 0.0000 12.1610
Se Sn La Ag
12 4 4 4
Direct
0.2500 0.7211 0.3291 Se
0.7500 0.7789 0.8291 Se
0.7500 0.0953 0.4399 Se
0.7500 0.4628 0.3691 Se
0.7500 0.9628 0.1309 Se
0.7500 0.2789 0.6709 Se
0.2500 0.2211 0.1709 Se
0.2500 0.4047 0.9399 Se
0.2500 0.9047 0.5601 Se
0.2500 0.5372 0.6309 Se
0.2500 0.0372 0.8691 Se
0.7500 0.5953 0.0601 Se
0.7500 0.1695 0.0056 Sn
0.2500 0.8305 0.9944 Sn
0.2500 0.3305 0.5056 Sn
0.7500 0.6695 0.4944 Sn
0.2500 0.4886 0.1845 La
0.7500 0.0114 0.6845 La
0.2500 0.9886 0.3155 La
0.7500 0.5114 0.8155 La
0.2500 0.2471 0.7909 Ag
0.2500 0.7471 0.7091 Ag
0.7500 0.2529 0.2909 Ag
0.7500 0.7529 0.2091 Ag
```

Record 2
A plane-wave DFT calculation with GGA-PBE was carried out for a geometry-optimized DyNbAg2O4 structure.

Properties
As for the magnetization: 1.915 Bohr magnetons per cell. The value obtained for the uncorrected energy is -0.248 Ha/atom.

```
DyNbAg2O4
1.0
3.4042 0.0000 0.0000
-1.7021 2.9481 0.0000
0.0000 0.0000 12.5055
O Dy Nb Ag
4 1 1 2
Direct
0.3333 0.6667 0.0740 O
0.6667 0.3333 0.9260 O
0.6667 0.3333 0.5879 O
0.3333 0.6667 0.4121 O
0.0000 0.0000 0.5000 Dy
0.0000 0.0000 0.0000 Nb
0.3333 0.6667 0.2447 Ag
0.6667 0.3333 0.7553 Ag
```

Record 3
A plane-wave DFT calculation with GGA-PBE was carried out for a geometry-optimized DyScAl4Ni2 structure.

Properties
As for the magnetization: 0.000 Bohr magnetons per cell. The value obtained for the uncorrected energy is -0.194 Ha/atom.

```
DyScAl4Ni2
1.0
-0.5029 6.5636 1.6698
-0.3342 -1.3283 5.1207
3.4799 -0.7333 3.9307
Al Ni Dy Sc
4 2 1 1
Direct
0.1928 0.8477 0.8477 Al
0.8072 0.8477 0.8477 Al
0.2971 0.1498 0.1498 Al
0.7029 0.1498 0.1498 Al
0.0000 0.2892 0.2892 Ni
0.5000 0.7159 0.7159 Ni
0.5000 0.4367 0.4367 Dy
0.0000 0.5633 0.5633 Sc
```

Record 4
A plane-wave DFT calculation with GGA-PBE was carried out for a geometry-optimized RbHoZnS3 structure.

Properties
As for the magnetization: 0.002 Bohr magnetons per cell. The value obtained for the uncorrected energy is -0.166 Ha/atom.

```
RbHoZnS3
1.0
8.6797 -2.0328 0.0000
8.6797 2.0328 0.0000
-1.7638 0.0000 8.4158
S Rb Zn Ho
6 2 2 2
Direct
0.6576 0.6576 0.2753 S
0.0000 0.0000 0.0000 S
0.6735 0.6735 0.8662 S
0.3424 0.3424 0.7247 S
0.5000 0.5000 0.5000 S
0.3265 0.3265 0.1338 S
0.8524 0.8524 0.4306 Rb
0.1476 0.1476 0.5694 Rb
0.4783 0.4783 0.7625 Zn
0.5217 0.5217 0.2375 Zn
0.1668 0.1668 0.0690 Ho
0.8332 0.8332 0.9310 Ho
```

----------

Entry 1:
{
  "formula": "Sm4HoEr2",
  "functional": "GGA-PBE",
  "state": "relaxed",
  "lattice": [[11.959, -3.058, -1.544], [-9.359, 8.049, -1.544], [0.020, 0.038, 6.749]],
____________
Hockaday, who was CEO of Oxford University Innovation’s Consultancy from 2006 until March 2016, used the development of AstraZeneca to stress why universities need to focus on the importance of building the innovation community. “People do deals with people they know”, he said. And Technology Transfer Offices (TTOs) could home in on that, and build relationships with people, because “it’s really all about people”, he said.
He referred to AstraZeneca many times throughout his presentation in the session on Setting the scene & building an understanding around commercialisation of research at the ELW. This workshop is an annual initiative of the Entrepreneurship Development in Higher Education (EDHE), which is a programme of the Department of Higher Education and Training (DHET) being administered and implemented under Universities South Africa (USAf).
The purpose of the Executive Leadership Workshop is to grow the number of institutions positioned as entrepreneurial universities and provide an opportunity for deputy vice-chancellors, in particular, as well as executive directors and other senior leaders in entrepreneurship development, to engage on entrepreneurship at universities, specifically as it relates to university strategy and policy.
Why tech transfer helped develop the vaccine
Hockaday said he supported the definition of technology transfer at universities as being about transferring the brilliance of academic research results to business, so that new products, services and medicines can be developed to benefit society. He said it was interesting to note that this statement did not make any mention of making money.
He said AstraZeneca showed how sometimes, and he stressed it was only sometimes, “the commercial route is the best way to deliver benefits from university research results”.
He said the AstraZeneca vaccine was developed at the University of Oxford in its research labs, and the technology transferred via the TTO to AstraZeneca, who then developed it along with government support, and made it available to benefit society.
“There is no way that the university itself, even with the involvement of the amazing not-for-profit organizations that are involved, could have developed and delivered this successfully. So sometimes working with industry is the right and the best thing to do,” said Hockaday, who is the author of University Technology Transfer – What It Is and How to Do It, published by Johns Hopkins University Press in 2020.
Since leaving the University of Oxford, he has founded the Oxford-based consultancy, Technology Transfer Innovation, which provides university-business expertise to universities, investors and governments. And he has a South African connection in that he chairs the Investment Committee of the University Technology Fund here.
Hockaday was addressing mostly deputy vice-chancellors and other key executives from South Africa’s universities who are responsible for entrepreneurship and innovation, and, even more importantly, strategy and policy. Attended mostly in-person, the workshop was delivered in a hybrid format and was presented in collaboration with the British Council. The EDHE programme itself is supported mainly by the Department of Higher Education and Training’s University Capacity Development Programme (UCDP) aimed at advancing transformation.
The balancing act between income and impact
Hockaday mentioned AstraZeneca again when he said technology transfer offices needed to determine whether they existed for income, or for the impact they could generate. He referred to this as the “income/impact balance”. If the university commercialisation is generating income, is it also generating impact? “Well, yes, probably. But is it the sort of impact you wanted?” he asked.
He said Oxford chose AstraZeneca “because they were committed to a not-for-profit delivery of the vaccine during the pandemic. They did not want to choose a profit maximisation route with some of the other companies.”
Still focusing on the income/impact balance, he argued: “If you’re generating impact, might you be generating income?” And the answer was that it wasn’t a certainty.
“At the tech transfer stage, when you’re trying to evaluate, protect, market, do your deal, you don’t really know. You don’t really know what the financial return on this particular opportunity will be. Because it hasn’t gone out to business. It hasn’t met customers. It hasn’t been marketed,” he said. And it hasn’t engaged with real commercial business.
Therefore, he believed, TTOs needed to focus on doing lots of deals and being generous. “Transfer the stuff out there so that business can do what it does. It’s far better to do the deal than not do the deal,” he said. “And if you’re really trying to generate impact from your research, why are you negotiating so hard on the financial terms that might kill the deal?”
The sticky question of money
The big question, said Hockaday, is: “If you’re doing it for the impact, not the money, and it incurs a cost, how do you pay for it?” Especially if the university says you must make money to pay for yourselves. An impact approach to the commercialisation of research, where you are trying to support society, means you can manage a broader range of projects, and focus on relationships and partnerships. “It’s a bold decision but the university needs to recognise this and work out how to pay for it,” he said.
Looking at technology transfer activities at the University of Oxford from 1990 to 2020, he said there was slow growth at first. There was a distinct connection between the amount of money that was coming in and the number of people employed at the TTO.
It was also helped by strong university support – £1m in 2000 increasing to about £5m annually these days. “Now it gets a lot more back than that. But one of the things this shows is that the more you put in, the more you get out. And that’s one of the main messages I want to convey: university technology transfer doesn’t happen on its own. It needs help. It needs support, it needs resources.”
This led to the question of who decides the amount of resource allocated to research commercialisation. It was probably not the TTO. It could, maybe, be the government, depending on the amount they have available for support. “Is it the university, the leadership, the academics who often complain about the lack of resource or certainly complain about the lack of turnaround time for the tech transfer office?”
Hockaday said he thought it was helpful for tech transfer people to recognise that “in fact, it’s the researchers, the leadership of the university, who decide how much resource goes in”.
How to improve the TTO
He said if a university had an engineering department that was OK but needed to be better, would it hire better engineers or would it “complain and kick the ones you’ve got”? He said his experience was that when a university wants a better TTO, it tended to take the latter approach, which was “hugely regrettable and counterproductive”.
The skills needed for tech transfer were complicated and included what could be referred to as technical skills, such as information about intellectual property management, research collaboration agreements, confidentiality, licensing and investment shareholding agreements – across every research discipline.
There were also people management skills such as managing the expectation of researchers and the university government, negotiation and networking skills, and knowing about starting new businesses and growing them.
He acknowledged the huge expectation on tech transfer and the people who did it. “We need to recognise that this is really, really difficult and you’re probably good at it. Recognise it’s difficult, recognise it needs resource. Recognise we’re good at it, but sure, let’s try and get better,” said Hockaday.
The two questions for the TTO
Whatever its name – and the TTO could be known as the entrepreneurship office, the impact office, the innovation office, the research support office – universities need to think about what its purpose is within the institution. And Hockaday thinks it is useful to write that down as a purpose statement. The first question to ask is: “What do we want? What are we trying to achieve? What are our objectives?” and question two is: “How can we achieve that?”
Most universities start with the second question, which doesn’t help as they need to consider the choices inherent in the first one.
The model they worked on in Oxford was “The technology transfer office helps researchers who want to commercialise the results of their research”. The key word was “help”. The TTO helps. “And the challenge is that researchers are the ones who get to define what help is,” he said.
He said they found this statement very helpful, making them think about how the TTO was helping researchers do what they wanted to do.
The latest trends
### These calculated crystals were left in the page by mistake
-- begin --
Density functional theory data (PBE with a Hubbard U) for a relaxed structure of Na2VB2O6. Values from VASP.

Geometry as Quantum ESPRESSO input:
```
&SYSTEM
  ibrav = 0, nat = 11, ntyp = 4
/
ATOMIC_SPECIES
Na 22.99 Na.upf
V 50.94 V.upf
B 10.81 B.upf
O 16.00 O.upf
ATOMIC_POSITIONS crystal
Na 0.667 0.333 0.674
Na 0.333 0.667 0.326
V 0.000 0.000 0.000
B 0.333 0.667 0.819
B 0.667 0.333 0.181
O 0.115 0.360 0.806
O 0.640 0.755 0.806
O 0.245 0.885 0.806
O 0.885 0.640 0.194
O 0.360 0.245 0.194
O 0.755 0.115 0.194
CELL_PARAMETERS angstrom
-1.362 -2.962 -3.844
4.685 1.845 0.223
1.717 -4.726 3.033
```

Output
Theoretical density in g cm⁻³: 2.76
E_tot in eV per atom: -6.9630
Space-group type: No. 147
Total magnetization in μB per atom: 0.0909

Density functional theory data (PBE with a Hubbard U) for a relaxed structure of Na3VB2O6. Values from VASP.

Geometry as Quantum ESPRESSO input:
```
&SYSTEM
  ibrav = 0, nat = 48, ntyp = 4
/
ATOMIC_SPECIES
Na 22.99 Na.upf
V 50.94 V.upf
B 10.81 B.upf
O 16.00 O.upf
ATOMIC_POSITIONS crystal
Na 0.938 0.485 0.377
Na 0.625 0.452 0.377
Na 0.950 0.960 0.873
Na 0.125 0.548 0.123
Na 0.450 0.040 0.627
Na 0.438 0.515 0.123
Na 0.562 0.485 0.877
Na 0.550 0.960 0.373
Na 0.875 0.452 0.877
Na 0.050 0.040 0.127
Na 0.375 0.548 0.623
Na 0.062 0.515 0.623
V 0.283 0.035 0.876
V 0.783 0.965 0.624
V 0.217 0.035 0.376
V 0.717 0.965 0.124
B 0.298 0.466 0.381
B 0.637 0.965 0.866
B 0.798 0.534 0.119
B 0.137 0.035 0.634
B 0.863 0.965 0.366
B 0.202 0.466 0.881
B 0.363 0.035 0.134
B 0.702 0.534 0.619
O 0.303 0.892 0.073
O 0.664 0.320 0.595
O 0.897 0.742 0.101
O 0.232 0.162 0.688
O 0.989 0.077 0.640
O 0.663 0.579 0.158
O 0.163 0.421 0.342
O 0.489 0.923 0.860
O 0.732 0.838 0.812
O 0.397 0.258 0.399
O 0.803 0.108 0.427
O 0.164 0.680 0.905
O 0.836 0.320 0.095
O 0.197 0.892 0.573
O 0.603 0.742 0.601
O 0.268 0.162 0.188
O 0.511 0.077 0.140
O 0.837 0.579 0.658
O 0.337 0.421 0.842
O 0.011 0.923 0.360
O 0.768 0.838 0.312
O 0.103 0.258 0.899
O 0.336 0.680 0.405
O 0.697 0.108 0.927
CELL_PARAMETERS angstrom
9.194 0.000 0.000
0.000 5.572 -0.029
0.000 4.869 10.418
```

Output
Theoretical density in g cm⁻³: 2.95
E_tot in eV per atom: -6.6818
Space-group type: No. 14
Total magnetization in μB per atom: 0.1667

Density functional theory data (PBE with a Hubbard U) for a relaxed structure of Na3VB6O13. Values from VASP.

Geometry as Quantum ESPRESSO input:
```
&SYSTEM
  ibrav = 0, nat = 92, ntyp = 4
/
ATOMIC_SPECIES
Na 22.99 Na.upf
V 50.94 V.upf
B 10.81 B.upf
O 16.00 O.upf
ATOMIC_POSITIONS crystal
Na 0.730 0.295 0.240
Na 0.768 0.272 0.742
Na 0.127 0.497 0.524
Na 0.230 0.205 0.760
Na 0.627 0.003 0.476
Na 0.270 0.795 0.260
Na 0.732 0.728 0.242
Na 0.770 0.705 0.740
Na 0.232 0.772 0.758
Na 0.268 0.228 0.258
Na 0.873 0.997 0.976
Na 0.373 0.503 0.024
V 0.050 0.518 0.244
V 0.950 0.018 0.256
V 0.550 0.982 0.756
V 0.450 0.482 0.744
B 0.025 0.129 0.574
B 0.403 0.502 0.279
B 0.024 0.870 0.574
B 0.795 0.724 0.495
B 0.903 0.998 0.721
B 0.525 0.371 0.426
B 0.217 0.998 0.441
-- stop --
Hockaday said he used the words technology transfer, which he sees as the core of this commercialisation activity. It is also known as knowledge transfer, knowledge exchange, wider engagement, the third mission of universities, impact and, the latest word in Europe, “valorisation” (to give value to).
Not only has the language evolved but there are also trends universities needed to consider. These include how TTOs can support social enterprises as well as for-profit enterprises; as well as research in the social sciences, the arts and humanities.
The McMillan Review was a breakthrough in the UK
Trevor McMillan, Vice-Chancellor of Keele University near Newcastle in the UK, headed the 2016 review of technology transfer that helped universities understand what it was all about, said Hockaday, referring to it as a “significant breakthrough”. Its main comments were that universities do technology transfer as part of their mission to deliver impact for society. And it usually incurs a net cost for universities.
How to get better at tech transfer in a university – a summary
First work what do you want, then how to do, and here the income/impact can help frame this conversation.
Recognise the more you put in, the more you get out – and this is not just about money, but also quality. It takes leadership, management, and people resources.
- - -
Compound: Ba6As3H
Source: Alexandria
Functional: PBE
Structure: optimized geometry

Summary:
* calculated density: 4.34 g/cm3
* final energy: -37.22 eV per formula unit

a b c (Å): 10.2775 10.2775 7.7959
angles (deg): 90.00 90.00 102.90
Fractional positions:
Ba1 0.0408 0.9592 0.5000
Ba2 0.1090 0.5710 0.5140
Ba3 0.2167 0.7833 0.9998
Ba4 0.3175 0.3578 0.0225
Ba5 0.3578 0.3175 0.5225
Ba6 0.4290 0.8910 0.5140
Ba7 0.5710 0.1090 0.0140
Ba8 0.6422 0.6825 0.0225
Ba9 0.6825 0.6422 0.5225
Ba10 0.7833 0.2167 0.4998
Ba11 0.8910 0.4290 0.0140
Ba12 0.9592 0.0408 0.0000
As1 0.0687 0.2858 0.2960
As2 0.2858 0.0687 0.7960
As3 0.3856 0.6144 0.7455
As4 0.6144 0.3856 0.2455
As5 0.7142 0.9313 0.2960
As6 0.9313 0.7142 0.7960
H1 0.1918 0.8082 0.3571
H2 0.8082 0.1918 0.8571

* * * * *

! ErTc6, relaxed, DFT PBE-GGA; values from VASP
&SYSTEM
  ibrav = 0, nat = 28, ntyp = 2
/
ATOMIC_SPECIES
Er 167.26 Er.upf
Tc 98.00 Tc.upf
CELL_PARAMETERS angstrom
-1.892 -1.118 -4.665
2.888 -7.914 0.725
-9.276 -2.975 4.475
ATOMIC_POSITIONS angstrom
Er -9.495 -5.493 0.892
Er 1.214 -6.514 -0.357
Er -4.465 -8.300 -0.476
Er -3.816 -3.707 1.011
Tc 0.051 -5.481 -2.983
Tc -8.332 -6.526 3.518
Tc -5.630 -2.882 -1.301
Tc -2.650 -9.124 1.836
Tc -0.586 -3.987 1.141
Tc -6.783 -7.481 1.641
Tc -1.075 -8.810 -0.251
Tc -8.117 -3.735 -1.461
Tc -7.694 -8.020 -0.606
Tc -1.498 -4.526 -1.106
Tc -7.206 -3.197 0.786
Tc -0.163 -8.272 1.996
Tc -1.444 -1.819 -0.404
Tc -6.837 -10.188 0.939
Tc -1.894 -6.383 0.873
Tc -6.387 -5.623 -0.338
Tc -5.144 -8.981 2.813
Tc -3.137 -3.026 -2.278
Tc -6.454 -4.981 2.386
Tc -1.827 -7.026 -1.851
Tc -4.165 -6.545 1.832
Tc -4.116 -5.462 -1.297
Tc -8.820 -3.618 3.019
Tc 0.539 -8.389 -2.484
! space-group type: No. 62
! energy above the lowest structure with this stoichiometry: 0.00 kcal/mol of atoms
! crystal system: orthorhombic

* * * * *

No. 1
Material: YZrTcOs
Method: DFT, PBE
State: optimized geometry

Lattice parameters (Å, degrees): 4.742 4.742 4.742 60.00 60.00 60.00
Fractional positions:
Y 0.250 0.250 0.250
Os 0.000 0.000 0.000
Tc 0.500 0.500 0.500
Zr 0.750 0.750 0.750

## Properties
DFT formation energy ... -3.12 kcal/mol of atoms
Symmetry ... F-43m


No. 2
Material: Dy2TmGa
Method: DFT, PBE
State: optimized geometry

Lattice parameters (Å, degrees): 3.634 6.605 9.532 90.00 90.00 105.97
Fractional positions:
Dy 0.366 0.732 0.550
Dy 0.634 0.268 0.450
Dy 0.366 0.732 0.950
Dy 0.634 0.268 0.050
Tm 0.944 0.889 0.250
Tm 0.056 0.111 0.750
Ga 0.743 0.484 0.750
Ga 0.257 0.516 0.250

## Properties
DFT formation energy ... -6.44 kcal/mol of atoms
E above lowest polymorph ... 0.0 kJ/mol of atoms
Symmetry ... Cmcm


No. 3
Material: ZnCdO2
Method: DFT, PBE
State: optimized geometry

Lattice parameters (Å, degrees): 3.255 3.255 4.588 90.00 90.00 90.00
Fractional positions:
Zn 0.000 0.000 0.500
O 0.500 0.500 0.500
O 0.000 0.000 0.000
Cd 0.500 0.500 0.000

## Properties
Energy relative to the elements, uncorrected ... -1052 meV/atom
Symmetry ... P4/mmm


No. 4
Material: Ba2Cd2Pd
- - -
Experience shows this activity will cost you money, but it is an investment by the university in something that is core and central to your mission. Connect the activities of the office to what the university cares about and connect the objectives.
And keep talking about what you are trying to achieve, said Hockaday.
Gillian Anstey is a contract writer for Universities South Africa.